Listing:
********
(1)
The following is a DFT calculation (wB97M-V/def2-TZVPD) of C6H10O in the gas phase.

The calculation puts the relative energy (zero: lowest compared OMol25 entry of this formula, charge and spin) at 73.5 kcal/mol. The calculated total energy is -309.7252 Eh. Its net charge is 0. The LUMO energy is 0.6 eV. For the HOMO energy, the calculation gives -8.08 eV. The frontier orbital gap comes out at 0.318 Eh.

Cartesian coordinates (Å):
O: 1.7586 -0.5434 1.3153
C: -1.1885 -0.6181 0.3265
C: 0.0618 -1.2143 -0.3142
C: -1.4337 0.8074 -0.1821
C: 1.0004 1.1406 -0.2380
C: -0.2845 1.7842 -0.1182
C: 1.2865 -0.3533 -0.0102
H: 0.2498 -2.2333 0.0422
H: 1.0755 -0.2433 1.9287
H: 1.8838 1.7632 -0.0609
H: -1.7597 0.7798 -1.2370
H: 2.1271 -0.6711 -0.6356
H: -2.0619 -1.2508 0.1368
H: -2.2734 1.2780 0.3388
H: -0.0751 -1.2690 -1.4031
H: 0.7021 1.4357 -1.3087
H: -1.0689 -0.5924 1.4197

Atomic partial charges in e from the Löwdin method, atoms 1 to 6: -0.026, -0.203, -0.155, -0.250, -0.186, 0.018


(2)
The following is a DFT calculation (wB97M-V/def2-TZVPD) of a molecular structure, C23H33Cl2HgN4O4 in a non-equilibrium geometry.

The calculation puts the relative energy (zero: lowest compared OMol25 entry of this formula, charge and spin) at 0.0 kcal/mol. The calculated total energy is -2490.0338 Eh. Its net charge is -1. The LUMO energy (alpha / beta) is 2.0 / 2.0 eV. For the HOMO energy (alpha / beta), the calculation gives -0.46 / -2.85 eV. The frontier orbital gap (alpha / beta) comes out at 0.089 / 0.177 Eh.

Cartesian coordinates (Å):
Hg: -0.7583 -1.0508 1.4650
Cl: -0.1359 -3.2035 2.1153
Cl: -1.8501 1.0202 1.0698
O: 3.8969 2.5387 1.3744
O: 0.8887 1.2153 -2.4169
O: -1.7958 -1.6062 -0.8343
O: 1.7456 -0.8362 0.1957
N: 0.5333 0.6443 2.9847
N: 3.8580 -1.7471 0.1632
N: 0.6765 3.0800 -1.1351
N: 4.3199 3.5629 3.3647
C: 2.5098 -1.8107 0.1590
C: 0.4479 2.3116 4.6916
C: -1.6637 -0.9624 -3.3762
C: -2.8000 -1.7815 -1.5377
C: -4.1205 -1.9076 -0.8505
C: 1.6797 1.1557 2.5383
C: -0.1738 3.9351 -0.3242
C: 2.3164 2.2415 3.1641
C: 1.8446 3.6641 -1.7619
C: -5.2709 -1.2884 -1.3635
C: -5.3791 -2.6504 1.0849
C: 0.2639 1.8706 -1.5726
C: 4.5885 -0.5039 -0.0386
C: 1.6802 2.8153 4.2787
C: -0.2696 -1.3090 -3.4990
C: 4.6534 -2.9623 0.2006
C: 3.5774 2.7675 2.5449
C: -6.5419 -2.0831 0.5429
C: -0.0963 1.2191 4.0042
C: -6.4688 -1.3532 -0.6500
C: -2.3994 -3.3666 -3.4162
C: -2.7342 -1.9089 -3.0546
C: -4.1739 -2.5663 0.3910
H: -0.0252 -1.6976 -4.5055
H: -2.1957 -3.4612 -4.4875
H: -3.2465 -4.0054 -3.1539
H: -0.6804 1.5327 -1.0985
H: 0.3302 -0.3912 -3.3316
H: -0.1160 2.7385 5.5121
H: -3.2595 -2.9993 0.7943
H: -7.3531 -0.8399 -1.0259
H: 0.0716 -2.0536 -2.7546
H: 5.0143 -3.2476 -0.7987
H: -5.2129 -0.7389 -2.3050
H: 5.5587 -0.6197 0.4609
H: 2.1356 -2.8552 0.1358
H: 5.5282 -2.7965 0.8402
H: -7.4934 -2.1922 1.0674
H: -3.6886 -1.5796 -3.4824
H: 4.0426 -3.7769 0.6027
H: 4.7803 -0.3278 -1.1091
H: 2.6662 2.9412 -1.7431
H: -0.7603 3.3044 0.3570
H: -1.5227 -3.6897 -2.8396
H: 2.1247 3.6647 4.8001
H: 4.1440 3.6214 4.3548
H: 2.0971 0.6942 1.6380
H: -0.8657 4.5249 -0.9492
H: -5.4168 -3.1555 2.0460
H: 5.2180 3.8741 3.0209
H: 2.1157 4.5590 -1.2015
H: 4.0592 0.3559 0.3804
H: -1.9174 0.0949 -3.4301
H: 0.4587 4.6289 0.2388
H: 1.6371 3.9308 -2.8079
H: -1.0760 0.8183 4.2725

Atomic partial charges in e from the Löwdin method, atoms 1 to 6: 0.645, -0.227, -0.057, 0.040, -0.027, -0.180


# C33H64N6O6P2

A 3-piece molecular cluster, C33H64N6O6P2 overall at a distorted geometry (wB97M-V/def2-TZVPD, OMol25).

XYZ file:
```
111
Properties=species:S:1:pos:R:3:mulliken_charge:R:1
C -9.13 -1.33 1.71 -1.12
C -8.12 -0.55 0.74 -0.05
C -8.45 -0.75 -0.83 -0.55
C -7.52 0.19 -1.79 -0.84
C -6.10 -0.54 -1.87 0.38
C -4.99 -0.47 -0.78 -0.74
C -3.62 -1.24 -0.88 0.76
C -2.58 -1.11 0.33 -1.26
C -1.36 -0.11 0.00 0.40
C 0.00 -0.76 0.58 -1.01
O -1.29 0.28 -1.39 -0.53
C -3.35 -2.12 -2.12 0.37
C -4.47 -2.20 -3.23 0.56
C -5.81 -1.43 -3.13 -0.89
C -4.12 -3.17 -4.47 0.15
O -4.42 -2.92 -5.66 -0.58
C -3.29 -4.49 -4.04 0.50
********

Brief:
Could you retype the entries earlier on from the first line to the one with "-5.66 -0.58" word for word?

Result:
(1)
The following is a DFT calculation (wB97M-V/def2-TZVPD) of C6H10O in the gas phase.

The calculation puts the relative energy (zero: lowest compared OMol25 entry of this formula, charge and spin) at 73.5 kcal/mol. The calculated total energy is -309.7252 Eh. Its net charge is 0. The LUMO energy is 0.6 eV. For the HOMO energy, the calculation gives -8.08 eV. The frontier orbital gap comes out at 0.318 Eh.

Cartesian coordinates (Å):
O: 1.7586 -0.5434 1.3153
C: -1.1885 -0.6181 0.3265
C: 0.0618 -1.2143 -0.3142
C: -1.4337 0.8074 -0.1821
C: 1.0004 1.1406 -0.2380
C: -0.2845 1.7842 -0.1182
C: 1.2865 -0.3533 -0.0102
H: 0.2498 -2.2333 0.0422
H: 1.0755 -0.2433 1.9287
H: 1.8838 1.7632 -0.0609
H: -1.7597 0.7798 -1.2370
H: 2.1271 -0.6711 -0.6356
H: -2.0619 -1.2508 0.1368
H: -2.2734 1.2780 0.3388
H: -0.0751 -1.2690 -1.4031
H: 0.7021 1.4357 -1.3087
H: -1.0689 -0.5924 1.4197

Atomic partial charges in e from the Löwdin method, atoms 1 to 6: -0.026, -0.203, -0.155, -0.250, -0.186, 0.018


(2)
The following is a DFT calculation (wB97M-V/def2-TZVPD) of a molecular structure, C23H33Cl2HgN4O4 in a non-equilibrium geometry.

The calculation puts the relative energy (zero: lowest compared OMol25 entry of this formula, charge and spin) at 0.0 kcal/mol. The calculated total energy is -2490.0338 Eh. Its net charge is -1. The LUMO energy (alpha / beta) is 2.0 / 2.0 eV. For the HOMO energy (alpha / beta), the calculation gives -0.46 / -2.85 eV. The frontier orbital gap (alpha / beta) comes out at 0.089 / 0.177 Eh.

Cartesian coordinates (Å):
Hg: -0.7583 -1.0508 1.4650
Cl: -0.1359 -3.2035 2.1153
Cl: -1.8501 1.0202 1.0698
O: 3.8969 2.5387 1.3744
O: 0.8887 1.2153 -2.4169
O: -1.7958 -1.6062 -0.8343
O: 1.7456 -0.8362 0.1957
N: 0.5333 0.6443 2.9847
N: 3.8580 -1.7471 0.1632
N: 0.6765 3.0800 -1.1351
N: 4.3199 3.5629 3.3647
C: 2.5098 -1.8107 0.1590
C: 0.4479 2.3116 4.6916
C: -1.6637 -0.9624 -3.3762
C: -2.8000 -1.7815 -1.5377
C: -4.1205 -1.9076 -0.8505
C: 1.6797 1.1557 2.5383
C: -0.1738 3.9351 -0.3242
C: 2.3164 2.2415 3.1641
C: 1.8446 3.6641 -1.7619
C: -5.2709 -1.2884 -1.3635
C: -5.3791 -2.6504 1.0849
C: 0.2639 1.8706 -1.5726
C: 4.5885 -0.5039 -0.0386
C: 1.6802 2.8153 4.2787
C: -0.2696 -1.3090 -3.4990
C: 4.6534 -2.9623 0.2006
C: 3.5774 2.7675 2.5449
C: -6.5419 -2.0831 0.5429
C: -0.0963 1.2191 4.0042
C: -6.4688 -1.3532 -0.6500
C: -2.3994 -3.3666 -3.4162
C: -2.7342 -1.9089 -3.0546
C: -4.1739 -2.5663 0.3910
H: -0.0252 -1.6976 -4.5055
H: -2.1957 -3.4612 -4.4875
H: -3.2465 -4.0054 -3.1539
H: -0.6804 1.5327 -1.0985
H: 0.3302 -0.3912 -3.3316
H: -0.1160 2.7385 5.5121
H: -3.2595 -2.9993 0.7943
H: -7.3531 -0.8399 -1.0259
H: 0.0716 -2.0536 -2.7546
H: 5.0143 -3.2476 -0.7987
H: -5.2129 -0.7389 -2.3050
H: 5.5587 -0.6197 0.4609
H: 2.1356 -2.8552 0.1358
H: 5.5282 -2.7965 0.8402
H: -7.4934 -2.1922 1.0674
H: -3.6886 -1.5796 -3.4824
H: 4.0426 -3.7769 0.6027
H: 4.7803 -0.3278 -1.1091
H: 2.6662 2.9412 -1.7431
H: -0.7603 3.3044 0.3570
H: -1.5227 -3.6897 -2.8396
H: 2.1247 3.6647 4.8001
H: 4.1440 3.6214 4.3548
H: 2.0971 0.6942 1.6380
H: -0.8657 4.5249 -0.9492
H: -5.4168 -3.1555 2.0460
H: 5.2180 3.8741 3.0209
H: 2.1157 4.5590 -1.2015
H: 4.0592 0.3559 0.3804
H: -1.9174 0.0949 -3.4301
H: 0.4587 4.6289 0.2388
H: 1.6371 3.9308 -2.8079
H: -1.0760 0.8183 4.2725

Atomic partial charges in e from the Löwdin method, atoms 1 to 6: 0.645, -0.227, -0.057, 0.040, -0.027, -0.180


# C33H64N6O6P2

A 3-piece molecular cluster, C33H64N6O6P2 overall at a distorted geometry (wB97M-V/def2-TZVPD, OMol25).

XYZ file:
```
111
Properties=species:S:1:pos:R:3:mulliken_charge:R:1
C -9.13 -1.33 1.71 -1.12
C -8.12 -0.55 0.74 -0.05
C -8.45 -0.75 -0.83 -0.55
C -7.52 0.19 -1.79 -0.84
C -6.10 -0.54 -1.87 0.38
C -4.99 -0.47 -0.78 -0.74
C -3.62 -1.24 -0.88 0.76
C -2.58 -1.11 0.33 -1.26
C -1.36 -0.11 0.00 0.40
C 0.00 -0.76 0.58 -1.01
O -1.29 0.28 -1.39 -0.53
C -3.35 -2.12 -2.12 0.37
C -4.47 -2.20 -3.23 0.56
C -5.81 -1.43 -3.13 -0.89
C -4.12 -3.17 -4.47 0.15
O -4.42 -2.92 -5.66 -0.58